-- Wanted --
Now copy the lines further down from the one with "-0.345" to the one with "0.368 0.256" without additions.

-- Contents --
-- begin --
[1]
The following is a quantum chemistry calculation of a single C2H3NO3S molecule, from the Open Molecules 2025 dataset.

Its total charge is 0. The HOMO-LUMO gap is 0.3197 Eh. Its energy relative to the best compared isomer or geometry (same formula, charge and spin) is 71.8 kcal per mole. The value obtained for the lowest unoccupied orbital energy is -1.27 eV.

Last column: Mulliken charge in e.
Atoms and positions in Å:
C -1.028 -0.619 0.147  -0.52
C 0.193 0.337 0.072  0.72
N 1.454 -0.188 0.041  -0.13
O 0.010 1.532 0.175  -0.62
O -3.620 -0.878 0.061  -0.49
O 2.532 0.736 -0.051  -0.37
S -2.536 0.125 -0.009  0.45
H -0.802 -1.579 0.414  0.39
H 1.519 -1.046 -0.457  0.25
H 2.279 1.579 -0.392  0.33

***

[2]
The following is a quantum chemistry calculation of 2 unconnected molecules or ions with the total composition C2H3NO4, from the Open Molecules 2025 dataset.

Its total charge is 0. The HOMO-LUMO gap (alpha / beta) is 0.2918 / 0.2914 Eh. Its energy relative to the best compared isomer or geometry (same formula, charge and spin) is 166.8 kcal per mole. The value obtained for the lowest unoccupied orbital energy (alpha / beta) is -2.51 / -2.52 eV.

Last column: Mulliken charge in e.
Atoms and positions in Å:
C 0.947 -0.677 -0.072  0.24
C -1.440 0.928 -0.595  -0.18
N -1.975 -0.415 -0.345  0.91
O 0.698 -1.678 -0.701  -0.46
O -2.245 -0.748 0.780  -0.51
O -2.209 -1.027 -1.353  -0.46
O 0.520 0.551 0.110  -0.41
H 1.711 -0.687 0.729  0.31
H -1.599 1.774 0.067  0.26
H -1.296 1.260 -1.757  0.29

***

[3]
The following is a quantum chemistry calculation of 2 unconnected molecules or ions with the total composition C2H3NOPS, from the Open Molecules 2025 dataset.

Its total charge is +1. The HOMO-LUMO gap (alpha / beta) is 0.2579 / 0.2580 Eh. Its energy relative to the best compared isomer or geometry (same formula, charge and spin) is 62.8 kcal per mole. The value obtained for the lowest unoccupied orbital energy (alpha / beta) is -7.40 / -7.40 eV.

Last column: Mulliken charge in e.
Atoms and positions in Å:
C 0.482 0.331 -0.434  -0.05
C 0.153 0.296 1.000  -0.76
N 1.396 0.546 -1.153  0.59
O 2.191 0.648 -2.034  -0.48
P -2.061 -0.371 -0.637  0.58
S -2.350 -2.239 -0.648  0.15
H 0.484 -0.767 1.332  0.33
H -0.973 0.391 1.336  0.35
H 0.678 1.166 1.238  0.30

***

[4]
The following is a quantum chemistry calculation of a gas-phase ion, C2H3NOPS (charge +1), from the Open Molecules 2025 dataset.

Its total charge is +1. The HOMO-LUMO gap is 0.3342 Eh. As for the SMILES: CC#[N+]p1os1. Its energy relative to the best compared isomer or geometry (same formula, charge and spin) is 1.1 kcal per mole. The value obtained for the lowest unoccupied orbital energy is -5.29 eV.

Last column: Mulliken charge in e.
Atoms and positions in Å:
C -1.295 -0.171 0.594  0.42
C -0.047 0.222 -0.001  -0.78
N -2.365 -0.417 0.974  -0.22
O -4.332 -2.899 0.939  -0.18
P -4.270 -1.319 1.339  0.67
S -4.764 -1.969 -0.540  0.12
H 0.451 -0.042 0.884  0.32
H 0.092 1.305 -0.099  0.33
H 0.216 -0.523 -0.694  0.32

***

[5]
The following is a quantum chemistry calculation of a single C2H3NOS molecule, from the Open Molecules 2025 dataset.

Its total charge is 0. The HOMO-LUMO gap (alpha / beta) is 0.2509 / 0.2517 Eh. As for the SMILES: O/C=C\N=S. Its energy relative to the best compared isomer or geometry (same formula, charge and spin) is 73.3 kcal per mole. The value obtained for the lowest unoccupied orbital energy (alpha / beta) is -1.27 / -1.29 eV.

Last column: Mulliken charge in e.
Atoms and positions in Å:
C 0.368 0.256 -0.066  0.16
C 1.270 -0.755 -0.124  -0.07
N 2.619 -0.895 0.006  -0.26
O 0.314 1.621 0.102  -0.43
S 3.592 0.300 0.037  -0.09
H -0.702 -0.213 -0.133  0.17
H -0.376 1.876 0.649  0.34
H 0.687 -1.768 -0.359  0.19

***

[6]
The following is a quantum chemistry calculation of a single C2H3NOS molecule, from the Open Molecules 2025 dataset.
-- stop --

-- Result --
N -1.975 -0.415 -0.345  0.91
O 0.698 -1.678 -0.701  -0.46
O -2.245 -0.748 0.780  -0.51
O -2.209 -1.027 -1.353  -0.46
O 0.520 0.551 0.110  -0.41
H 1.711 -0.687 0.729  0.31
H -1.599 1.774 0.067  0.26
H -1.296 1.260 -1.757  0.29

***

[3]
The following is a quantum chemistry calculation of 2 unconnected molecules or ions with the total composition C2H3NOPS, from the Open Molecules 2025 dataset.

Its total charge is +1. The HOMO-LUMO gap (alpha / beta) is 0.2579 / 0.2580 Eh. Its energy relative to the best compared isomer or geometry (same formula, charge and spin) is 62.8 kcal per mole. The value obtained for the lowest unoccupied orbital energy (alpha / beta) is -7.40 / -7.40 eV.

Last column: Mulliken charge in e.
Atoms and positions in Å:
C 0.482 0.331 -0.434  -0.05
C 0.153 0.296 1.000  -0.76
N 1.396 0.546 -1.153  0.59
O 2.191 0.648 -2.034  -0.48
P -2.061 -0.371 -0.637  0.58
S -2.350 -2.239 -0.648  0.15
H 0.484 -0.767 1.332  0.33
H -0.973 0.391 1.336  0.35
H 0.678 1.166 1.238  0.30

***

[4]
The following is a quantum chemistry calculation of a gas-phase ion, C2H3NOPS (charge +1), from the Open Molecules 2025 dataset.

Its total charge is +1. The HOMO-LUMO gap is 0.3342 Eh. As for the SMILES: CC#[N+]p1os1. Its energy relative to the best compared isomer or geometry (same formula, charge and spin) is 1.1 kcal per mole. The value obtained for the lowest unoccupied orbital energy is -5.29 eV.

Last column: Mulliken charge in e.
Atoms and positions in Å:
C -1.295 -0.171 0.594  0.42
C -0.047 0.222 -0.001  -0.78
N -2.365 -0.417 0.974  -0.22
O -4.332 -2.899 0.939  -0.18
P -4.270 -1.319 1.339  0.67
S -4.764 -1.969 -0.540  0.12
H 0.451 -0.042 0.884  0.32
H 0.092 1.305 -0.099  0.33
H 0.216 -0.523 -0.694  0.32

***

[5]
The following is a quantum chemistry calculation of a single C2H3NOS molecule, from the Open Molecules 2025 dataset.

Its total charge is 0. The HOMO-LUMO gap (alpha / beta) is 0.2509 / 0.2517 Eh. As for the SMILES: O/C=C\N=S. Its energy relative to the best compared isomer or geometry (same formula, charge and spin) is 73.3 kcal per mole. The value obtained for the lowest unoccupied orbital energy (alpha / beta) is -1.27 / -1.29 eV.

Last column: Mulliken charge in e.
Atoms and positions in Å:
C 0.368 0.256 -0.066  0.16